**Material**
┌──
Diffraction record for MgAl2S4. The PXRD pattern is simulated, not measured: it uses the GGA-PBE geometry in the Materials Project and Cu Kα (weighted mean of Kα1 and Kα2).
Lines closer than 0.1° are merged.

a b c (Å): 13.1374 13.1374 13.1374
angles (deg): 16.26 16.26 16.26
Sites, in units of the cell vectors:
Mg1 0.0000 0.0000 0.0000
Al1 0.2420 0.2420 0.2420
Al2 0.7580 0.7580 0.7580
S1 0.1162 0.1162 0.1162
S2 0.2978 0.2978 0.2978
S3 0.7022 0.7022 0.7022
S4 0.8838 0.8838 0.8838

Most intense lines, 10 to 90 degrees two-theta, sorted by position:
| 2θ/deg | I/Imax |
| --- | --- |
| 20.56 | 66 |
| 27.82 | 41 |
| 28.11 | 68 |
| 30.06 | 72 |
| 32.15 | 66 |
| 33.40 | 54 |
| 36.24 | 35 |
| 46.85 | 32 |
| 48.85 | 84 |
| 49.04 | 100 |


# Na2Bi3Pb3
Simulated powder X-ray diffraction pattern, copper Kα. Input: a crystal structure in Alexandria, relaxed with PBE.
No peak broadening, texture or thermal motion is included.

Atomic structure:
Unit cell a=9.1682 b=9.1682 c=3.4677 alpha=90.00 beta=90.00 gamma=120.00
Space group P-62m (No. 189)
Inequivalent atoms, fractional coordinates:
Na  0.3333  0.6667  0.0000 x2
Bi  0.0000  0.6254  0.5000 x3
Pb  0.0000  0.2179  0.0000 x3

Largest 10 diffraction maxima, low angle first, 10 to 80 degrees two-theta:
(1 0 0), 2θ = 11.14°, d = 7.940 Å, intensity 24
(1 1 0), 2θ = 19.36°, d = 4.584 Å, intensity 36
(1 0 1), 2θ = 28.08°, d = 3.178 Å, intensity 24
(2 1 0), 2θ = 29.77°, d = 3.001 Å, intensity 87
(1 1 1), 2θ = 32.37°, d = 2.766 Å, intensity 100
(2 2 0), 2θ = 39.31°, d = 2.292 Å, intensity 28
(2 1 1), 2θ = 39.72°, d = 2.269 Å, intensity 23
(3 1 1), 2θ = 49.00°, d = 1.859 Å, intensity 25
(4 1 1), 2θ = 59.66°, d = 1.550 Å, intensity 21
(2 1 2), 2θ = 61.80°, d = 1.501 Å, intensity 26


1.
Diffraction record for Rb2NaScBr6. The powder X-ray diffraction pattern is calculated, not measured: it uses a DFT-relaxed cell (PBE, the Materials Project) and Cu Ka.
Peak positions follow from Bragg's law for the DFT cell and can differ from measured ones.

Top 12 peaks for 10 to 90 degrees two-theta, by intensity:
27.70 deg, rel. 100.0; 32.09 deg, rel. 77.1; 46.02 deg, rel. 53.7; 54.56 deg, rel. 41.7; 76.35 deg, rel. 22.2; 57.21 deg, rel. 18.1; 85.23 deg, rel. 16.6; 74.09 deg, rel. 16.2; 67.12 deg, rel. 8.2; 13.75 deg, rel. 5.2; 22.54 deg, rel. 4.9; 15.89 deg, rel. 3.6

```
Rb2NaScBr6
1.0
0.000 5.578 5.578
5.578 0.000 5.578
5.578 5.578 0.000
Rb Na Sc Br
2 1 1 6
direct
0.250 0.250 0.250 Rb
0.750 0.750 0.750 Rb
0.000 0.000 0.000 Na
0.500 0.500 0.500 Sc
0.262 0.262 0.738 Br
0.262 0.738 0.262 Br
0.262 0.738 0.738 Br
0.738 0.262 0.262 Br
0.738 0.262 0.738 Br
0.738 0.738 0.262 Br
```



2.
Diffraction record for Nd2Ga2Fe15. The powder X-ray diffraction pattern is calculated, not measured: it uses a DFT-relaxed cell (PBE, the Materials Project) and Cu Ka.
Peak positions follow from Bragg's law for the DFT cell and can differ from measured ones.

Top 12 peaks for 10 to 90 degrees two-theta, by intensity:
42.54 deg, rel. 100.0; 42.28 deg, rel. 75.6; 43.32 deg, rel. 65.0; 36.40 deg, rel. 49.5; 37.60 deg, rel. 39.4; 62.13 deg, rel. 32.7; 29.90 deg, rel. 32.3; 47.79 deg, rel. 29.3; 61.50 deg, rel. 25.2; 30.98 deg, rel. 19.9; 77.31 deg, rel. 19.3; 78.91 deg, rel. 18.8

```
Nd2Ga2Fe15
1.0
4.275 2.468 4.179
-4.275 2.468 4.179
0.000 -4.937 4.179
Nd Ga Fe
2 2 15
direct
0.152 0.152 0.152 Nd
0.848 0.848 0.848 Nd
0.396 0.396 0.396 Ga
0.604 0.604 0.604 Ga
0.000 0.500 0.500 Fe
0.159 0.159 0.656 Fe
0.159 0.656 0.159 Fe
0.210 0.500 0.790 Fe
0.210 0.790 0.500 Fe
0.344 0.841 0.841 Fe
0.500 0.000 0.500 Fe
0.500 0.210 0.790 Fe
0.500 0.500 0.000 Fe
0.500 0.790 0.210 Fe
0.656 0.159 0.159 Fe
0.790 0.210 0.500 Fe
0.790 0.500 0.210 Fe
0.841 0.344 0.841 Fe
0.841 0.841 0.344 Fe
```



3.
Diffraction record for Rb3InS3. The powder X-ray diffraction pattern is calculated, not measured: it uses a DFT-relaxed cell (PBE, the Materials Project) and Cu Ka.
Peak positions follow from Bragg's law for the DFT cell and can differ from measured ones.
└──

**Exercise**
Your job: copy everything earlier on unchanged.

**Here it is**
Diffraction record for MgAl2S4. The PXRD pattern is simulated, not measured: it uses the GGA-PBE geometry in the Materials Project and Cu Kα (weighted mean of Kα1 and Kα2).
Lines closer than 0.1° are merged.

a b c (Å): 13.1374 13.1374 13.1374
angles (deg): 16.26 16.26 16.26
Sites, in units of the cell vectors:
Mg1 0.0000 0.0000 0.0000
Al1 0.2420 0.2420 0.2420
Al2 0.7580 0.7580 0.7580
S1 0.1162 0.1162 0.1162
S2 0.2978 0.2978 0.2978
S3 0.7022 0.7022 0.7022
S4 0.8838 0.8838 0.8838

Most intense lines, 10 to 90 degrees two-theta, sorted by position:
| 2θ/deg | I/Imax |
| --- | --- |
| 20.56 | 66 |
| 27.82 | 41 |
| 28.11 | 68 |
| 30.06 | 72 |
| 32.15 | 66 |
| 33.40 | 54 |
| 36.24 | 35 |
| 46.85 | 32 |
| 48.85 | 84 |
| 49.04 | 100 |


# Na2Bi3Pb3
Simulated powder X-ray diffraction pattern, copper Kα. Input: a crystal structure in Alexandria, relaxed with PBE.
No peak broadening, texture or thermal motion is included.

Atomic structure:
Unit cell a=9.1682 b=9.1682 c=3.4677 alpha=90.00 beta=90.00 gamma=120.00
Space group P-62m (No. 189)
Inequivalent atoms, fractional coordinates:
Na  0.3333  0.6667  0.0000 x2
Bi  0.0000  0.6254  0.5000 x3
Pb  0.0000  0.2179  0.0000 x3

Largest 10 diffraction maxima, low angle first, 10 to 80 degrees two-theta:
(1 0 0), 2θ = 11.14°, d = 7.940 Å, intensity 24
(1 1 0), 2θ = 19.36°, d = 4.584 Å, intensity 36
(1 0 1), 2θ = 28.08°, d = 3.178 Å, intensity 24
(2 1 0), 2θ = 29.77°, d = 3.001 Å, intensity 87
(1 1 1), 2θ = 32.37°, d = 2.766 Å, intensity 100
(2 2 0), 2θ = 39.31°, d = 2.292 Å, intensity 28
(2 1 1), 2θ = 39.72°, d = 2.269 Å, intensity 23
(3 1 1), 2θ = 49.00°, d = 1.859 Å, intensity 25
(4 1 1), 2θ = 59.66°, d = 1.550 Å, intensity 21
(2 1 2), 2θ = 61.80°, d = 1.501 Å, intensity 26


1.
Diffraction record for Rb2NaScBr6. The powder X-ray diffraction pattern is calculated, not measured: it uses a DFT-relaxed cell (PBE, the Materials Project) and Cu Ka.
Peak positions follow from Bragg's law for the DFT cell and can differ from measured ones.

Top 12 peaks for 10 to 90 degrees two-theta, by intensity:
27.70 deg, rel. 100.0; 32.09 deg, rel. 77.1; 46.02 deg, rel. 53.7; 54.56 deg, rel. 41.7; 76.35 deg, rel. 22.2; 57.21 deg, rel. 18.1; 85.23 deg, rel. 16.6; 74.09 deg, rel. 16.2; 67.12 deg, rel. 8.2; 13.75 deg, rel. 5.2; 22.54 deg, rel. 4.9; 15.89 deg, rel. 3.6

```
Rb2NaScBr6
1.0
0.000 5.578 5.578
5.578 0.000 5.578
5.578 5.578 0.000
Rb Na Sc Br
2 1 1 6
direct
0.250 0.250 0.250 Rb
0.750 0.750 0.750 Rb
0.000 0.000 0.000 Na
0.500 0.500 0.500 Sc
0.262 0.262 0.738 Br
0.262 0.738 0.262 Br
0.262 0.738 0.738 Br
0.738 0.262 0.262 Br
0.738 0.262 0.738 Br
0.738 0.738 0.262 Br
```



2.
Diffraction record for Nd2Ga2Fe15. The powder X-ray diffraction pattern is calculated, not measured: it uses a DFT-relaxed cell (PBE, the Materials Project) and Cu Ka.
Peak positions follow from Bragg's law for the DFT cell and can differ from measured ones.

Top 12 peaks for 10 to 90 degrees two-theta, by intensity:
42.54 deg, rel. 100.0; 42.28 deg, rel. 75.6; 43.32 deg, rel. 65.0; 36.40 deg, rel. 49.5; 37.60 deg, rel. 39.4; 62.13 deg, rel. 32.7; 29.90 deg, rel. 32.3; 47.79 deg, rel. 29.3; 61.50 deg, rel. 25.2; 30.98 deg, rel. 19.9; 77.31 deg, rel. 19.3; 78.91 deg, rel. 18.8

```
Nd2Ga2Fe15
1.0
4.275 2.468 4.179
-4.275 2.468 4.179
0.000 -4.937 4.179
Nd Ga Fe
2 2 15
direct
0.152 0.152 0.152 Nd
0.848 0.848 0.848 Nd
0.396 0.396 0.396 Ga
0.604 0.604 0.604 Ga
0.000 0.500 0.500 Fe
0.159 0.159 0.656 Fe
0.159 0.656 0.159 Fe
0.210 0.500 0.790 Fe
0.210 0.790 0.500 Fe
0.344 0.841 0.841 Fe
0.500 0.000 0.500 Fe
0.500 0.210 0.790 Fe
0.500 0.500 0.000 Fe
0.500 0.790 0.210 Fe
0.656 0.159 0.159 Fe
0.790 0.210 0.500 Fe
0.790 0.500 0.210 Fe
0.841 0.344 0.841 Fe
0.841 0.841 0.344 Fe
```



3.
Diffraction record for Rb3InS3. The powder X-ray diffraction pattern is calculated, not measured: it uses a DFT-relaxed cell (PBE, the Materials Project) and Cu Ka.
Peak positions follow from Bragg's law for the DFT cell and can differ from measured ones.